1.0 Introduction
The Merlin Diamond Project, Public Environmental Report (PER) has been assessed in accordance with provisions of the Environmental Assessment Act and administrative arrangements between the Department of Lands, Planning and Environment and the Department of Mines and Energy.
This report assesses the possible environmental impacts of a proposal by Ashton Mining Limited to mine six kimberlite pipes (small open pits) and two bulk sample pits in the McArthur/Glyde region, 720km southeast of Darwin, Northern Territory.
Included in this report is a discussion of the main issues associated with the proposal, the potential impacts of the proposal on the environment and recommendations on how the identified impacts should be managed.
### Inserted here: materials data
+++
(1)
Diffraction record for NdTi4SnO12. The XRD peak list is simulated, not measured: it uses a GGA-PBE-relaxed structure and Cu Kα, 1.54184 Å.
Peak positions follow from Bragg's law for the DFT cell and can differ from measured ones.

The 10 most intense peaks (10 to 90 degrees two-theta), sorted by position:
| Position (°2θ) | d/Å | Rel. int. |
| --- | --- | --- |
| 20.11 | 4.416 | 100 |
| 32.93 | 2.720 | 56 |
| 33.50 | 2.675 | 29 |
| 38.39 | 2.345 | 17 |
| 39.33 | 2.291 | 17 |
| 39.43 | 2.285 | 11 |
| 46.42 | 1.956 | 13 |
| 51.85 | 1.763 | 14 |
| 58.45 | 1.579 | 13 |
| 59.48 | 1.554 | 13 |

Structure:
```
NdTi4SnO12
1.0
7.8251 0.0000 0.0000
0.0000 3.7894 3.7765
0.0000 -3.7894 3.7765
Nd Ti Sn O
1 4 1 12
Cartesian
0.0000 0.0000 0.0000 Nd
1.9387 -1.8584 5.4470 Ti
1.9387 1.8584 5.4470 Ti
5.8864 -1.8584 5.4470 Ti
5.8864 1.8584 5.4470 Ti
3.9125 0.0000 3.3301 Sn
0.0000 -1.5514 5.4136 O
0.0000 1.5514 5.4136 O
1.6725 0.0000 1.8925 O
1.8695 -2.2881 3.5188 O
1.8695 2.2881 3.5188 O
2.5074 0.0000 4.8188 O
3.9125 -1.5084 1.9900 O
3.9125 1.5084 1.9900 O
5.3177 0.0000 4.8188 O
5.9556 -2.2881 3.5188 O
5.9556 2.2881 3.5188 O
6.1526 0.0000 1.8925 O
```

(2)
Diffraction record for SrNdO4. The XRD peak list is simulated, not measured: it uses a GGA-PBE-relaxed structure and Cu Kα, 1.54184 Å.
Peak positions follow from Bragg's law for the DFT cell and can differ from measured ones.

The 10 most intense peaks (10 to 90 degrees two-theta), sorted by position:
| Position (°2θ) | d/Å | Rel. int. |
| --- | --- | --- |
| 12.76 | 6.939 | 29 |
| 25.36 | 3.512 | 27 |
| 25.66 | 3.472 | 55 |
| 28.14 | 3.171 | 100 |
| 29.28 | 3.050 | 23 |
| 29.62 | 3.016 | 33 |
| 37.50 | 2.398 | 30 |
| 44.85 | 2.021 | 29 |
| 45.32 | 2.001 | 20 |
| 46.06 | 1.971 | 24 |

Structure:
```
SrNdO4
1.0
3.5288 -2.0011 0.0000
3.5288 2.0011 0.0000
-0.6859 0.0000 6.9391
Sr Nd O
1 1 4
Cartesian
0.0000 0.0000 0.0000 Sr
4.0543 0.0000 4.0143 Nd
1.4149 0.0000 2.3518 O
2.6313 0.0000 1.7319 O
4.0418 0.0000 6.2668 O
6.3766 0.0000 4.2818 O
```

(3)
Diffraction record for SrNd2TcO8. The XRD peak list is simulated, not measured: it uses a GGA-PBE-relaxed structure and Cu Kα, 1.54184 Å.
Peak positions follow from Bragg's law for the DFT cell and can differ from measured ones.

The 10 most intense peaks (10 to 90 degrees two-theta), sorted by position:
| Position (°2θ) | d/Å | Rel. int. |
| --- | --- | --- |
| 12.93 | 6.847 | 22 |
| 26.99 | 3.304 | 100 |
| 28.32 | 3.152 | 59 |
| 31.19 | 2.868 | 68 |
| 32.65 | 2.742 | 22 |
| 34.15 | 2.626 | 44 |
| 38.26 | 2.352 | 19 |
| 44.93 | 2.017 | 52 |
| 46.58 | 1.950 | 24 |
| 54.51 | 1.683 | 20 |

Structure:
```
SrNd2TcO8
1.0
4.4421 0.0000 0.0000
0.0046 5.2515 0.0000
2.0832 -0.0010 6.8470
Sr Nd Tc O
1 2 1 8
Cartesian
0.0000 0.0000 0.0000 Sr
2.2949 2.6273 1.9829 Nd
4.2349 2.6232 4.8640 Nd
1.0416 -0.0005 3.4235 Tc
2.1218 1.3582 4.1816 O
2.1339 3.9044 4.1858 O
1.0320 2.6256 0.0293 O
2.0550 5.2500 1.7612 O
4.4749 0.0005 5.0857 O
5.4979 2.6249 6.8177 O
4.3960 1.3461 2.6612 O
+++
The assessment considered comments by the following advisory bodies:
- Aboriginal Areas Protection Authority
- Department of the Chief Minister
- Department of Mines and Energy
- Department of Lands, Planning and Environment
- Department of Primary Industries and Fisheries
- Department of Transport and Works
- Northern Territory Attorney-General's Department
- Parks and Wildlife Commission of the Northern Territory
- Power and Water Authority
- Museum and Art Gallery of the Northern Territory
- Territory Health Services
- Work Health Authority
Public Comments - One submission.
A synopsis of the comments is provided in Appendix A.
The contents of this report form the basis of advice to the Northern Territory Minister for Lands Planning and Environment in accordance with provisions of the Environmental Assessment Act and administrative arrangements between the Department of Lands Planning and Environment and the Department of Mines and Energy.
The proposed project is a relatively short term operation (2.5 years) mining 730,000 cubic metres of ore and is considered to have a limited potential to cause any significant long termed environmental impact, if appropriately monitored and managed.
Assessment of the PER has identified a number of aspects that require ongoing attention by Ashton Mining Limited. These issues are best addressed through reviewable Mine and Environmental Management Plans that require formal approval by the Department of Mines and Energy.
It is recommended that no further assessment of this proposal is required under the Environmental Assessment Act.
Recommendation 1
Ashton Mining Limited shall ensure that the proposal is implemented in accordance with the environmental commitments and safeguards identified in the Merlin Diamond Project, Public Environmental Report, or as modified in this assessment report, or an approved Environmental Management Plan.